Request:
Echo everything underneath verbatim.

Contents:
........
Computed, not measured: a relaxed structure of In2SiNi at the GGA-PBE level of DFT.

Structure (CIF):
```
data_In2SiNi
_chemical_formula_sum 'In4 Si2 Ni2'
_cell_length_a 4.131
_cell_length_b 4.131
_cell_length_c 8.656
_cell_angle_alpha 90.00
_cell_angle_beta 90.00
_cell_angle_gamma 90.00
_space_group_name_H-M_alt 'I -4 m 2'
_space_group_IT_number 119
_space_group_name_Hall 'I -4 -2'
loop_
_atom_site_label
_atom_site_fract_x
_atom_site_fract_y
_atom_site_fract_z
_atom_site_occupancy
In1 0.000 0.000 0.000 1
In2 0.000 0.500 0.250 1
Si1 0.000 0.000 0.500 1
Ni1 0.000 0.500 0.750 1
```

Computed properties:
total moment: 0.00 μB per formula unit
raw total energy: -3.8250 eV per atom
Fermi-level density of states: 0.591 states/eV/atom
raw formation energy: 1.38 eV/f.u.


## CoCuSbO4 (PBE with a Hubbard U)

Data for CoCuSbO4 after structural relaxation.

Unit cell a=6.045 b=6.302 c=8.915 alpha=90.00 beta=90.00 gamma=90.00
Space group Imma (No. 74)
One atom of each set of equivalent atoms:
Co (0.250, 0.250, 0.250) (multiplicity 4)
Cu (0.000, 0.250, 0.650) (multiplicity 4)
Sb (0.000, 0.000, 0.000) (multiplicity 4)
O (0.000, 0.023, 0.225) (multiplicity 8)
O (0.228, 0.250, 0.001) (multiplicity 8)

Output
size of the total moment: 11.69 μB/cell
E: -162.10 eV/cell
........

Result:
Computed, not measured: a relaxed structure of In2SiNi at the GGA-PBE level of DFT.

Structure (CIF):
```
data_In2SiNi
_chemical_formula_sum 'In4 Si2 Ni2'
_cell_length_a 4.131
_cell_length_b 4.131
_cell_length_c 8.656
_cell_angle_alpha 90.00
_cell_angle_beta 90.00
_cell_angle_gamma 90.00
_space_group_name_H-M_alt 'I -4 m 2'
_space_group_IT_number 119
_space_group_name_Hall 'I -4 -2'
loop_
_atom_site_label
_atom_site_fract_x
_atom_site_fract_y
_atom_site_fract_z
_atom_site_occupancy
In1 0.000 0.000 0.000 1
In2 0.000 0.500 0.250 1
Si1 0.000 0.000 0.500 1
Ni1 0.000 0.500 0.750 1
```

Computed properties:
total moment: 0.00 μB per formula unit
raw total energy: -3.8250 eV per atom
Fermi-level density of states: 0.591 states/eV/atom
raw formation energy: 1.38 eV/f.u.


## CoCuSbO4 (PBE with a Hubbard U)

Data for CoCuSbO4 after structural relaxation.

Unit cell a=6.045 b=6.302 c=8.915 alpha=90.00 beta=90.00 gamma=90.00
Space group Imma (No. 74)
One atom of each set of equivalent atoms:
Co (0.250, 0.250, 0.250) (multiplicity 4)
Cu (0.000, 0.250, 0.650) (multiplicity 4)
Sb (0.000, 0.000, 0.000) (multiplicity 4)
O (0.000, 0.023, 0.225) (multiplicity 8)
O (0.228, 0.250, 0.001) (multiplicity 8)

Output
size of the total moment: 11.69 μB/cell
E: -162.10 eV/cell